Assignment =
Give back everything below unchanged.
Contents =
____________
# 1
Theoretical powder XRD pattern
Compound: Pr2SbAs3Ir4
Radiation: CuKα
Structure: a PBE-relaxed structure

The 12 most intense peaks (5° ≤ 2θ ≤ 70°), low angle first:
| 2theta | I_rel | hkl |
| --- | --- | --- |
| 16.59 | 8 | 0 0 2 |
| 26.68 | 15 | 1 0 2 |
| 30.70 | 13 | 1 1 1 |
| 32.70 | 40 | 1 0 3 |
| 34.04 | 100 | 1 1 2 |
| 42.23 | 63 | 2 0 0 |
| 45.27 | 34 | 1 1 4 |
| 47.55 | 25 | 1 0 5 |
| 54.41 | 19 | 2 1 3 |
| 60.29 | 8 | 1 1 6 |
| 61.25 | 23 | 2 2 0 |
| 65.45 | 20 | 2 1 5 |

```
Pr2SbAs3Ir4
1.0
4.281 0.000 0.000
0.000 4.281 0.000
0.000 0.000 10.688
Pr Sb As Ir
2 1 3 4
Direct
0.000 0.500 0.238 Pr
0.500 0.000 0.762 Pr
0.000 0.000 0.500 Sb
0.000 0.500 0.866 As
0.500 0.000 0.134 As
0.500 0.500 0.500 As
0.000 0.000 0.000 Ir
0.000 0.500 0.638 Ir
0.500 0.000 0.362 Ir
0.500 0.500 0.000 Ir
```

=====

# 2
Theoretical powder XRD pattern
Compound: RbAsIrSe
Radiation: CuKα
Structure: a PBE-relaxed structure

The 12 most intense peaks (5° ≤ 2θ ≤ 70°), low angle first:
| 2theta | I_rel | hkl |
| --- | --- | --- |
| 12.21 | 88 | 0 0 3 |
| 24.55 | 24 | 0 0 6 |
| 26.11 | 22 | 1 0 1 |
| 27.08 | 32 | 0 1 2 |
| 33.11 | 100 | 0 1 5 |
| 42.30 | 25 | 0 1 8 |
| 45.46 | 52 | 1 1 0 |
| 47.25 | 19 | 1 1 3 |
| 49.51 | 16 | 1 0 10 |
| 52.34 | 18 | 1 1 6 |
| 53.38 | 15 | 0 1 11 |
| 57.38 | 21 | 2 0 5 |

```
RbAsIrSe
1.0
3.990 0.000 0.000
-1.995 3.455 0.000
0.000 0.000 21.753
Rb As Ir Se
3 3 3 3
Direct
0.000 0.000 0.000 Rb
0.333 0.667 0.667 Rb
0.667 0.333 0.333 Rb
0.000 0.000 0.448 As
0.333 0.667 0.115 As
0.667 0.333 0.782 As
0.000 0.000 0.824 Ir
0.333 0.667 0.491 Ir
0.667 0.333 0.158 Ir
0.000 0.000 0.216 Se
0.333 0.667 0.883 Se
0.667 0.333 0.549 Se
```

=====

# 3
Theoretical powder XRD pattern
Compound: TbAs2IrRh5
Radiation: CuKα
Structure: a PBE-relaxed structure

The 12 most intense peaks (5° ≤ 2θ ≤ 70°), low angle first:
| 2theta | I_rel | hkl |
| --- | --- | --- |
| 7.87 | 42 | 0 0 1 |
| 22.70 | 36 | 1 0 0 |
| 23.76 | 27 | 0 0 3 |
| 24.06 | 29 | 1 0 1 |
| 33.10 | 37 | 1 0 3 |
| 33.32 | 41 | 1 1 1 |
| 36.16 | 49 | 1 1 2 |
| 40.51 | 33 | 1 1 3 |
| 46.03 | 100 | 1 1 4 |
| 46.37 | 66 | 2 0 0 |
| 67.66 | 21 | 2 2 0 |
| 69.46 | 22 | 2 0 6 |

```
TbAs2IrRh5
1.0
3.917 0.000 0.000
0.000 3.917 0.000
0.000 0.000 11.233
Tb As Ir Rh
1 2 1 5
Direct
0.000 0.000 0.000 Tb
0.500 0.500 0.213 As
0.500 0.500 0.787 As
0.500 0.500 0.500 Ir
0.000 0.500 0.350 Rh
0.000 0.500 0.650 Rh
0.500 0.000 0.350 Rh
0.500 0.000 0.650 Rh
0.500 0.500 0.000 Rh
```


1.
Starting from DFT lattice parameters and positions (PBE), the powder diffractogram of KNa2O4 was calculated for Cu Kα (λ = 1.5418 Å).

Atomic structure:
Cell lengths 7.998, 7.958, 7.244 Å; angles 90.00, 119.65, 90.00 degrees
Space group Cc (No. 9)
Asymmetric unit:
K (0.000, 0.118, 0.000) [4 per cell]
Na (0.066, 0.492, 0.186) [4 per cell]
Na (0.257, 0.180, 0.763) [4 per cell]
O (0.138, 0.242, 0.402) [4 per cell]
O (0.253, 0.387, 0.031) [4 per cell]
O (0.254, 0.093, 0.439) [4 per cell]
O (0.413, 0.273, 0.110) [4 per cell]

Main lines, most intense first (15° ≤ 2θ ≤ 90°):
2θ (°)	I (rel.)
31.76	100
39.89	80
35.86	74
38.47	59
36.25	47
36.55	40
44.12	39
42.03	34
42.25	26
36.76	26

---

2.
Starting from DFT lattice parameters and positions (PBE), the powder diffractogram of K4NaO was calculated for Cu Kα (λ = 1.5418 Å).

Atomic structure:
Cell lengths 5.554, 8.572, 11.205 Å; angles 90.00, 104.12, 90.00 degrees
Space group P2_1 (No. 4)
Asymmetric unit:
K (0.000, 0.000, 0.000) [2 per cell]
K (0.172, 0.045, 0.344) [2 per cell]
K (0.172, 0.455, 0.344) [2 per cell]
K (0.424, 0.750, 0.849) [2 per cell]
Na (0.375, 0.249, 0.751) [2 per cell]
O (0.086, 0.250, 0.172) [2 per cell]

Main lines, most intense first (15° ≤ 2θ ≤ 90°):
2θ (°)	I (rel.)
26.56	100
32.36	98
26.60	77
32.24	75
25.98	50
26.08	49
35.52	43
46.24	39
54.09	35
16.47	35

---

3.
Starting from DFT lattice parameters and positions (PBE), the powder diffractogram of K2NaOsO6 was calculated for Cu Kα (λ = 1.5418 Å).

Atomic structure:
____________
Written answer =
# 1
Theoretical powder XRD pattern
Compound: Pr2SbAs3Ir4
Radiation: CuKα
Structure: a PBE-relaxed structure

The 12 most intense peaks (5° ≤ 2θ ≤ 70°), low angle first:
| 2theta | I_rel | hkl |
| --- | --- | --- |
| 16.59 | 8 | 0 0 2 |
| 26.68 | 15 | 1 0 2 |
| 30.70 | 13 | 1 1 1 |
| 32.70 | 40 | 1 0 3 |
| 34.04 | 100 | 1 1 2 |
| 42.23 | 63 | 2 0 0 |
| 45.27 | 34 | 1 1 4 |
| 47.55 | 25 | 1 0 5 |
| 54.41 | 19 | 2 1 3 |
| 60.29 | 8 | 1 1 6 |
| 61.25 | 23 | 2 2 0 |
| 65.45 | 20 | 2 1 5 |

```
Pr2SbAs3Ir4
1.0
4.281 0.000 0.000
0.000 4.281 0.000
0.000 0.000 10.688
Pr Sb As Ir
2 1 3 4
Direct
0.000 0.500 0.238 Pr
0.500 0.000 0.762 Pr
0.000 0.000 0.500 Sb
0.000 0.500 0.866 As
0.500 0.000 0.134 As
0.500 0.500 0.500 As
0.000 0.000 0.000 Ir
0.000 0.500 0.638 Ir
0.500 0.000 0.362 Ir
0.500 0.500 0.000 Ir
```

=====

# 2
Theoretical powder XRD pattern
Compound: RbAsIrSe
Radiation: CuKα
Structure: a PBE-relaxed structure

The 12 most intense peaks (5° ≤ 2θ ≤ 70°), low angle first:
| 2theta | I_rel | hkl |
| --- | --- | --- |
| 12.21 | 88 | 0 0 3 |
| 24.55 | 24 | 0 0 6 |
| 26.11 | 22 | 1 0 1 |
| 27.08 | 32 | 0 1 2 |
| 33.11 | 100 | 0 1 5 |
| 42.30 | 25 | 0 1 8 |
| 45.46 | 52 | 1 1 0 |
| 47.25 | 19 | 1 1 3 |
| 49.51 | 16 | 1 0 10 |
| 52.34 | 18 | 1 1 6 |
| 53.38 | 15 | 0 1 11 |
| 57.38 | 21 | 2 0 5 |

```
RbAsIrSe
1.0
3.990 0.000 0.000
-1.995 3.455 0.000
0.000 0.000 21.753
Rb As Ir Se
3 3 3 3
Direct
0.000 0.000 0.000 Rb
0.333 0.667 0.667 Rb
0.667 0.333 0.333 Rb
0.000 0.000 0.448 As
0.333 0.667 0.115 As
0.667 0.333 0.782 As
0.000 0.000 0.824 Ir
0.333 0.667 0.491 Ir
0.667 0.333 0.158 Ir
0.000 0.000 0.216 Se
0.333 0.667 0.883 Se
0.667 0.333 0.549 Se
```

=====

# 3
Theoretical powder XRD pattern
Compound: TbAs2IrRh5
Radiation: CuKα
Structure: a PBE-relaxed structure

The 12 most intense peaks (5° ≤ 2θ ≤ 70°), low angle first:
| 2theta | I_rel | hkl |
| --- | --- | --- |
| 7.87 | 42 | 0 0 1 |
| 22.70 | 36 | 1 0 0 |
| 23.76 | 27 | 0 0 3 |
| 24.06 | 29 | 1 0 1 |
| 33.10 | 37 | 1 0 3 |
| 33.32 | 41 | 1 1 1 |
| 36.16 | 49 | 1 1 2 |
| 40.51 | 33 | 1 1 3 |
| 46.03 | 100 | 1 1 4 |
| 46.37 | 66 | 2 0 0 |
| 67.66 | 21 | 2 2 0 |
| 69.46 | 22 | 2 0 6 |

```
TbAs2IrRh5
1.0
3.917 0.000 0.000
0.000 3.917 0.000
0.000 0.000 11.233
Tb As Ir Rh
1 2 1 5
Direct
0.000 0.000 0.000 Tb
0.500 0.500 0.213 As
0.500 0.500 0.787 As
0.500 0.500 0.500 Ir
0.000 0.500 0.350 Rh
0.000 0.500 0.650 Rh
0.500 0.000 0.350 Rh
0.500 0.000 0.650 Rh
0.500 0.500 0.000 Rh
```


1.
Starting from DFT lattice parameters and positions (PBE), the powder diffractogram of KNa2O4 was calculated for Cu Kα (λ = 1.5418 Å).

Atomic structure:
Cell lengths 7.998, 7.958, 7.244 Å; angles 90.00, 119.65, 90.00 degrees
Space group Cc (No. 9)
Asymmetric unit:
K (0.000, 0.118, 0.000) [4 per cell]
Na (0.066, 0.492, 0.186) [4 per cell]
Na (0.257, 0.180, 0.763) [4 per cell]
O (0.138, 0.242, 0.402) [4 per cell]
O (0.253, 0.387, 0.031) [4 per cell]
O (0.254, 0.093, 0.439) [4 per cell]
O (0.413, 0.273, 0.110) [4 per cell]

Main lines, most intense first (15° ≤ 2θ ≤ 90°):
2θ (°)	I (rel.)
31.76	100
39.89	80
35.86	74
38.47	59
36.25	47
36.55	40
44.12	39
42.03	34
42.25	26
36.76	26

---

2.
Starting from DFT lattice parameters and positions (PBE), the powder diffractogram of K4NaO was calculated for Cu Kα (λ = 1.5418 Å).

Atomic structure:
Cell lengths 5.554, 8.572, 11.205 Å; angles 90.00, 104.12, 90.00 degrees
Space group P2_1 (No. 4)
Asymmetric unit:
K (0.000, 0.000, 0.000) [2 per cell]
K (0.172, 0.045, 0.344) [2 per cell]
K (0.172, 0.455, 0.344) [2 per cell]
K (0.424, 0.750, 0.849) [2 per cell]
Na (0.375, 0.249, 0.751) [2 per cell]
O (0.086, 0.250, 0.172) [2 per cell]

Main lines, most intense first (15° ≤ 2θ ≤ 90°):
2θ (°)	I (rel.)
26.56	100
32.36	98
26.60	77
32.24	75
25.98	50
26.08	49
35.52	43
46.24	39
54.09	35
16.47	35

---

3.
Starting from DFT lattice parameters and positions (PBE), the powder diffractogram of K2NaOsO6 was calculated for Cu Kα (λ = 1.5418 Å).

Atomic structure: